Work order.
Now set down every line further down that contains the word "same".

Given.
/*
Here is C25H46DyP2 as an isolated structure at a distorted geometry from the Open Molecules 2025 dataset. Energies are from the ωB97M-V functional and the def2-TZVPD basis.

Values from the calculation:
HOMO energy (alpha / beta): -0.394 / -0.392 Ha
Kohn-Sham gap (alpha / beta): 6.971 / 7.080 eV
⟨S²⟩: 9.326
Spin multiplicity: 6
Total charge: +1

Last column: Löwdin charge in e.
Element x y z (Å)
Dy 0.077 -0.123 2.230  0.9436
C -0.693 -2.057 3.037  -0.3379
C 0.686 -2.189 2.604  -0.3512
C 0.605 -0.596 4.314  -0.3348
C -0.747 -1.071 4.062  -0.3376
C 1.481 -1.310 3.432  -0.3604
C -1.840 -2.903 2.573  -0.0174
H -1.622 -3.384 1.617  0.0659
H -2.755 -2.315 2.460  0.0778
H -2.045 -3.700 3.301  0.1056
C -1.963 -0.613 4.805  -0.0196
H -2.875 -0.828 4.242  0.0842
H -1.922 0.466 4.979  0.0682
H -2.035 -1.121 5.776  0.1035
C 0.984 0.399 5.367  -0.0009
H 1.038 -0.071 6.359  0.1072
H 0.248 1.208 5.410  0.0736
H 1.960 0.844 5.154  0.0800
C 2.979 -1.267 3.463  -0.0255
H 3.357 -1.910 4.269  0.1038
H 3.352 -0.256 3.645  0.0698
H 3.408 -1.631 2.526  0.0728
C 1.220 -3.230 1.666  -0.0094
H 1.593 -4.107 2.215  0.1091
H 2.045 -2.836 1.066  0.0772
H 0.445 -3.577 0.977  0.0705
C -2.103 0.883 -4.965  -0.1084
C -1.990 -0.448 -5.037  -0.1212
C -0.992 -1.300 -5.776  -0.1862
C 0.313 -0.620 -6.243  -0.1916
C 1.117 -0.038 -5.105  -0.1001
C 0.987 1.154 -4.510  -0.1287
C 0.023 2.278 -4.785  -0.1872
C -1.241 1.943 -5.608  -0.1903
H -1.487 -1.755 -6.649  0.1186
H 0.093 0.132 -7.002  0.0991
H -0.729 -2.143 -5.122  0.1080
H -0.962 1.667 -6.627  0.0998
H -2.906 1.268 -4.335  0.0963
H -2.727 -1.027 -4.478  0.0949
H -1.830 2.863 -5.696  0.1110
H -0.295 2.686 -3.816  0.0951
H 1.677 1.364 -3.692  0.0859
H 0.563 3.098 -5.284  0.1187
H 0.922 -1.384 -6.742  0.1109
H 1.885 -0.699 -4.703  0.0989
P -1.011 -0.050 0.238  0.7571
P 1.563 1.197 1.149  0.7254
C -0.205 1.148 -0.956  -0.3450
C 0.679 2.133 -0.184  -0.3556
H -0.965 1.661 -1.555  0.0923
H 0.405 0.549 -1.643  0.0759
H 1.383 2.657 -0.841  0.0981
H 0.063 2.870 0.340  0.0766
C 2.404 2.525 2.096  -0.2033
H 3.100 2.118 2.838  0.0490
H 1.654 3.137 2.607  0.0530
H 2.939 3.151 1.378  0.0598
C 2.974 0.447 0.225  -0.2108
H 3.388 1.151 -0.506  0.0593
H 2.633 -0.454 -0.292  0.0428
H 3.763 0.161 0.925  0.0459
C -2.768 0.498 0.253  -0.2075
H -3.381 -0.122 0.917  0.0559
H -3.144 0.456 -0.772  0.0565
H -2.809 1.539 0.589  0.0469
C -1.131 -1.548 -0.831  -0.2181
H -0.154 -2.036 -0.886  0.0429
H -1.459 -1.280 -1.842  0.0472
H -1.850 -2.254 -0.407  0.0465
C -1.187 1.910 2.872  -0.2556
H -0.747 2.378 3.772  -0.0214
H -2.245 1.645 3.067  -0.0161
H -1.192 2.670 2.074  -0.0391

=====

Here is a 3-piece molecular cluster, C25H36F6O8 overall from the Open Molecules 2025 dataset. Energies are from the ωB97M-V functional and the def2-TZVPD basis.

Values from the calculation:
HOMO energy: -0.358 Ha
SMILES string: COCCCCCCCCCCC1=C(O)C(=O)C=CC1=O.CCOC(=O)C(F)(F)F.CCOC(=O)C(F)(F)F
Kohn-Sham gap: 8.536 eV
Energy relative to the best compared isomer or geometry (same formula, charge and spin): 0.0 kJ/mol

Last column: Löwdin charge in e.
Element x y z (Å)
C 1.774 -3.055 0.625  -0.1115
O 2.216 -1.775 0.246  -0.2107
C 2.909 -1.776 -0.988  -0.2443
C 3.134 -0.349 -1.456  -0.1652
C 3.864 0.528 -0.418  -0.1886
C 3.182 1.837 -0.015  -0.2210
C 1.904 1.715 0.813  -0.1960
C 0.656 1.208 0.078  -0.1997
C -0.673 1.746 0.650  -0.1976
C -1.593 2.385 -0.398  -0.2024
C -2.467 1.359 -1.142  -0.1752
C -3.917 1.288 -0.613  -0.1131
C -4.534 -0.080 -0.601  -0.0703
C -3.990 -1.174 -0.055  -0.1915
O -2.775 -1.186 0.573  0.0640
C -4.652 -2.514 -0.249  -0.3245
O -3.995 -3.520 -0.389  0.1226
C -6.134 -2.481 -0.321  0.0219
C -6.703 -1.391 -0.828  0.0286
C -5.851 -0.259 -1.281  -0.3336
O -6.222 0.485 -2.159  0.1233
H 1.183 -3.526 -0.168  0.0868
H 1.147 -2.944 1.508  0.0847
H 2.613 -3.715 0.877  0.0882
H 2.324 -2.334 -1.730  0.1203
H 3.874 -2.289 -0.874  0.1260
H 2.188 0.089 -1.770  0.0971
H 3.751 -0.421 -2.356  0.1113
H 4.069 -0.062 0.479  0.1113
H 4.841 0.790 -0.833  0.0981
*/

Written answer.
Energy relative to the best compared isomer or geometry (same formula, charge and spin): 0.0 kJ/mol